-- Work order --
Your job: echo the whole of the listing underneath without altering anything.
-- Given --
[1]
Formula: NO5S
Source: the Open Molecules 2025 dataset
Level of theory: the ωB97M-V functional and the def2-TZVPD basis

The geometry in XYZ format:
```
7
Properties=species:S:1:pos:R:3:forces:R:3
N 0.92866 0.46450 -2.10406 -0.890 -0.688 0.642
O -1.13750 0.85495 2.01566 0.320 -2.555 -2.415
O 0.26771 0.00116 -1.09722 -0.256 0.090 -0.133
O 1.95399 1.06545 -1.89965 0.528 0.405 0.330
O -1.90275 -1.15008 0.61879 -0.727 0.666 -0.890
O 0.08227 -1.29462 1.96310 0.094 0.789 -0.695
S -0.89486 -0.44531 1.32171 0.931 1.294 3.161
```
Positions in Å, forces in eV/Å.

The value obtained for the HOMO-LUMO gap (spin up / spin down) is 0.22562 / 0.22578 hartree. Its charge is -1. Its multiplicity is 1. The relative energy (zero: lowest compared OMol25 entry of this formula, charge and spin) is 39.9 kcal per mole.


[2]
Formula: NO7PRb3
Source: the Open Molecules 2025 dataset
Level of theory: the ωB97M-V functional and the def2-TZVPD basis

The geometry in XYZ format:
```
12
Properties=species:S:1:pos:R:3:forces:R:3
Rb 1.83359 1.68594 -1.43712 8.663 1.396 -17.629
Rb -0.50303 2.17247 2.54393 -1.658 4.258 2.985
Rb -0.78333 1.08143 -0.68025 -8.977 5.200 -5.338
N 1.09218 0.71799 1.12889 -7.896 0.742 3.515
O -0.04166 0.36338 1.49389 2.270 1.373 3.030
O 1.10068 1.54946 0.19535 -0.602 2.878 15.120
O 1.95169 0.03843 1.41943 9.686 -4.922 1.549
P -0.89670 -1.47341 -0.87846 -3.241 -11.498 -5.856
O -0.61109 -0.77835 -2.23512 1.576 2.105 -0.011
O -2.48798 -1.72455 -0.99226 2.010 1.093 1.215
O -0.56016 -0.77755 0.38144 -0.833 -4.839 0.743
O -0.09419 -2.85525 -0.93972 -0.998 2.215 0.677
```
Positions in Å, forces in eV/Å.

The value obtained for the HOMO-LUMO gap is 0.07134 hartree. Its charge is -1. Its multiplicity is 1. The relative energy (zero: lowest compared OMol25 entry of this formula, charge and spin) is 218.2 kcal per mole.


[3]
Formula: O2
Source: the Open Molecules 2025 dataset
Level of theory: the ωB97M-V functional and the def2-TZVPD basis

The geometry in XYZ format:
```
2
Properties=species:S:1:pos:R:3:forces:R:3
O 0.00000 0.00000 1.06597 0.000 0.000 -6.907
O 0.00000 0.00000 -1.06597 0.000 0.000 6.907
```
Positions in Å, forces in eV/Å.

The value obtained for the HOMO-LUMO gap is 0.24959 hartree. Its multiplicity is 1. The relative energy (zero: lowest compared OMol25 entry of this formula, charge and spin) is 180.8 kcal per mole.


[4]
Formula: O2
Source: the Open Molecules 2025 dataset
Level of theory: the ωB97M-V functional and the def2-TZVPD basis

The geometry in XYZ format:
```
2
Properties=species:S:1:pos:R:3:forces:R:3
O 0.30452 -0.43191 0.65687 -3.637 5.158 -7.845
O -0.30452 0.43191 -0.65687 3.637 -5.158 7.845
```
Positions in Å, forces in eV/Å.

The value obtained for the HOMO-LUMO gap is 0.27593 hartree. Its multiplicity is 1. The relative energy (zero: lowest compared OMol25 entry of this formula, charge and spin) is 92.8 kcal per mole.


[5]
Formula: O2
Source: the Open Molecules 2025 dataset
Level of theory: the ωB97M-V functional and the def2-TZVPD basis

The geometry in XYZ format:
```
2
Properties=species:S:1:pos:R:3:forces:R:3
O 0.53106 0.21076 0.30058 -4.818 -1.912 -2.727
O -0.53106 -0.21076 -0.30058 4.818 1.912 2.727
```
Positions in Å, forces in eV/Å.

The value obtained for the HOMO-LUMO gap is 0.28769 hartree. Its SMILES is O=O. Its multiplicity is 1. The relative energy (zero: lowest compared OMol25 entry of this formula, charge and spin) is 7.1 kcal per mole.


[6]
Formula: O2
Source: the Open Molecules 2025 dataset
Level of theory: the ωB97M-V functional and the def2-TZVPD basis

The geometry in XYZ format:
```
2
Properties=species:S:1:pos:R:3:forces:R:3
O 0.34533 -0.31822 0.38301 -5.540 5.105 -6.145
O -0.34533 0.31822 -0.38301 5.540 -5.105 6.145
```
Positions in Å, forces in eV/Å.
-- Result --
[1]
Formula: NO5S
Source: the Open Molecules 2025 dataset
Level of theory: the ωB97M-V functional and the def2-TZVPD basis

The geometry in XYZ format:
```
7
Properties=species:S:1:pos:R:3:forces:R:3
N 0.92866 0.46450 -2.10406 -0.890 -0.688 0.642
O -1.13750 0.85495 2.01566 0.320 -2.555 -2.415
O 0.26771 0.00116 -1.09722 -0.256 0.090 -0.133
O 1.95399 1.06545 -1.89965 0.528 0.405 0.330
O -1.90275 -1.15008 0.61879 -0.727 0.666 -0.890
O 0.08227 -1.29462 1.96310 0.094 0.789 -0.695
S -0.89486 -0.44531 1.32171 0.931 1.294 3.161
```
Positions in Å, forces in eV/Å.

The value obtained for the HOMO-LUMO gap (spin up / spin down) is 0.22562 / 0.22578 hartree. Its charge is -1. Its multiplicity is 1. The relative energy (zero: lowest compared OMol25 entry of this formula, charge and spin) is 39.9 kcal per mole.


[2]
Formula: NO7PRb3
Source: the Open Molecules 2025 dataset
Level of theory: the ωB97M-V functional and the def2-TZVPD basis

The geometry in XYZ format:
```
12
Properties=species:S:1:pos:R:3:forces:R:3
Rb 1.83359 1.68594 -1.43712 8.663 1.396 -17.629
Rb -0.50303 2.17247 2.54393 -1.658 4.258 2.985
Rb -0.78333 1.08143 -0.68025 -8.977 5.200 -5.338
N 1.09218 0.71799 1.12889 -7.896 0.742 3.515
O -0.04166 0.36338 1.49389 2.270 1.373 3.030
O 1.10068 1.54946 0.19535 -0.602 2.878 15.120
O 1.95169 0.03843 1.41943 9.686 -4.922 1.549
P -0.89670 -1.47341 -0.87846 -3.241 -11.498 -5.856
O -0.61109 -0.77835 -2.23512 1.576 2.105 -0.011
O -2.48798 -1.72455 -0.99226 2.010 1.093 1.215
O -0.56016 -0.77755 0.38144 -0.833 -4.839 0.743
O -0.09419 -2.85525 -0.93972 -0.998 2.215 0.677
```
Positions in Å, forces in eV/Å.

The value obtained for the HOMO-LUMO gap is 0.07134 hartree. Its charge is -1. Its multiplicity is 1. The relative energy (zero: lowest compared OMol25 entry of this formula, charge and spin) is 218.2 kcal per mole.


[3]
Formula: O2
Source: the Open Molecules 2025 dataset
Level of theory: the ωB97M-V functional and the def2-TZVPD basis

The geometry in XYZ format:
```
2
Properties=species:S:1:pos:R:3:forces:R:3
O 0.00000 0.00000 1.06597 0.000 0.000 -6.907
O 0.00000 0.00000 -1.06597 0.000 0.000 6.907
```
Positions in Å, forces in eV/Å.

The value obtained for the HOMO-LUMO gap is 0.24959 hartree. Its multiplicity is 1. The relative energy (zero: lowest compared OMol25 entry of this formula, charge and spin) is 180.8 kcal per mole.


[4]
Formula: O2
Source: the Open Molecules 2025 dataset
Level of theory: the ωB97M-V functional and the def2-TZVPD basis

The geometry in XYZ format:
```
2
Properties=species:S:1:pos:R:3:forces:R:3
O 0.30452 -0.43191 0.65687 -3.637 5.158 -7.845
O -0.30452 0.43191 -0.65687 3.637 -5.158 7.845
```
Positions in Å, forces in eV/Å.

The value obtained for the HOMO-LUMO gap is 0.27593 hartree. Its multiplicity is 1. The relative energy (zero: lowest compared OMol25 entry of this formula, charge and spin) is 92.8 kcal per mole.


[5]
Formula: O2
Source: the Open Molecules 2025 dataset
Level of theory: the ωB97M-V functional and the def2-TZVPD basis

The geometry in XYZ format:
```
2
Properties=species:S:1:pos:R:3:forces:R:3
O 0.53106 0.21076 0.30058 -4.818 -1.912 -2.727
O -0.53106 -0.21076 -0.30058 4.818 1.912 2.727
```
Positions in Å, forces in eV/Å.

The value obtained for the HOMO-LUMO gap is 0.28769 hartree. Its SMILES is O=O. Its multiplicity is 1. The relative energy (zero: lowest compared OMol25 entry of this formula, charge and spin) is 7.1 kcal per mole.


[6]
Formula: O2
Source: the Open Molecules 2025 dataset
Level of theory: the ωB97M-V functional and the def2-TZVPD basis

The geometry in XYZ format:
```
2
Properties=species:S:1:pos:R:3:forces:R:3
O 0.34533 -0.31822 0.38301 -5.540 5.105 -6.145
O -0.34533 0.31822 -0.38301 5.540 -5.105 6.145
```
Positions in Å, forces in eV/Å.